XNA Game Development: Coding For Multiplatform Multiplayer

XNA Game Development: Coding For Multiplatform Multiplayer

03/12/2009 00:54:53

I’ve jumped right in to the deep end with my game project (which is going under the working title of “Encounters” – I needed to call the solution something!) and one of the core design goals of the project is the multiplayer focus of the game.

I’m a huge fan of Id SoftwareJohn Carmack is probably my favourite “celebrity computer programmer”.  He’s incredible smart and consistent and has made some of both the most influential and my own favourite games.

Standing on the shoulders of giants - The “Quake” model

I’ve always thought the “Quake model” of single player and multiplayer game development to be a good one.  For those that don’t know, one of the simple design tenants of the Quake engine is that everything is a multiplayer game.  When you play the campaign in the original Quake what the game actually does is start a local game server which you then connect to.  Due to the proliferation of the Quake engine and other engines that have been inspired by it’s design this became quite a common way to build first person shooters with multiplayer support from the offset.  It reduced the implementation of multiplayer to simply having a second player connect to the active session.

Standing on the shoulders of giants, I’ve decided that this is the model I wish to follow for Encounters, especially seeing as the primary work-in-progress game design desires 4-player coop as the main campaign (with NPC assistants if you play with fewer humans).  Because of the way supporting multiplayer from the offset effectively means that all the games “thinking” is done in the server component (collision detection, cheat prevention, state management..) I decide that it’d be the best place to start the implementation.


So far so good, I spent an hour or two last night designing a simple state managing game server and retrofitting it to my previous prototype (an arena with a player-controlled unit moving around it) and moving all the logic and validation to the server side.

At this point the “game server” was a singleton class that the game accessed though a fake “proxy” class (left empty for eventual network implementation) and it worked pretty well.  The collision detection worked on the “server side” when the server was running in the same application domain and as a proof of concept everything was quite sound. I’m still left facing a few issues surrounding the frequency of syncing with the server and client side prediction, but they’re all relatively well solved problems in gaming (and there’s certainly some prior art to take inspiration from in XNA tutorials around the web).

Building a network stack

Once the proof of concept was working I started looking into the networking support provided by XNA and hit the mother of all roadblocks.  Because I’m targeting both the 360 and Windows, networking becomes significantly more complicated.  See, Microsoft offer no direct network access on the 360, via XNA, or even to their licensed partners (internet hearsay claims).  They provide Xbox Live APIs as part of the XNA framework however, which seemed like a decent solution until I realised that these networking APIs function only on a 360 as part of Xbox live.

+++
[1]
# PBE-GGA Na2YAgF6, optimized geometry
data_Na2YAgF6
_cell_length_a 6.4608
_cell_length_b 6.4608
_cell_length_c 6.4608
_cell_angle_alpha 60.00
_cell_angle_beta 60.00
_cell_angle_gamma 60.00
_space_group_name_H-M_alt 'P 1'
_space_group_IT_number 1
_space_group_name_Hall 'P 1'
loop_
_atom_site_label
_atom_site_type_symbol
_atom_site_fract_x
_atom_site_fract_y
_atom_site_fract_z
Na1 Na 0.2500 0.2500 0.2500
Na2 Na 0.7500 0.7500 0.7500
Y1 Y 0.0000 0.0000 0.0000
Ag1 Ag 0.5000 0.5000 0.5000
F1 F 0.2371 0.2371 0.7629
F2 F 0.2371 0.7629 0.2371
F3 F 0.2371 0.7629 0.7629
F4 F 0.7629 0.2371 0.2371
F5 F 0.7629 0.2371 0.7629
F6 F 0.7629 0.7629 0.2371
# - Formation enthalpy at 0 K: -2974 meV/atom
# - Symmetry: No. 225

---

[2]
# PBE-GGA Rb2NbAgF6, optimized geometry
data_Rb2NbAgF6
_cell_length_a 6.4437
_cell_length_b 6.4437
_cell_length_c 6.4437
_cell_angle_alpha 60.00
_cell_angle_beta 60.00
_cell_angle_gamma 60.00
_space_group_name_H-M_alt 'P 1'
_space_group_IT_number 1
_space_group_name_Hall 'P 1'
loop_
_atom_site_label
_atom_site_type_symbol
_atom_site_fract_x
_atom_site_fract_y
_atom_site_fract_z
Rb1 Rb 0.2500 0.2500 0.2500
Rb2 Rb 0.7500 0.7500 0.7500
Nb1 Nb 0.0000 0.0000 0.0000
Ag1 Ag 0.5000 0.5000 0.5000
F1 F 0.2315 0.2315 0.7685
F2 F 0.2315 0.7685 0.2315
F3 F 0.2315 0.7685 0.7685
F4 F 0.7685 0.2315 0.2315
F5 F 0.7685 0.2315 0.7685
F6 F 0.7685 0.7685 0.2315
# - Formation enthalpy at 0 K: -2621 meV/atom
# - Symmetry: No. 225

---

[3]
# PBE-GGA AgO2F, optimized geometry
data_AgO2F
_cell_length_a 5.3559
_cell_length_b 5.3559
_cell_length_c 4.4086
_cell_angle_alpha 90.00
_cell_angle_beta 90.00
_cell_angle_gamma 97.33
_space_group_name_H-M_alt 'P 1'
_space_group_IT_number 1
_space_group_name_Hall 'P 1'
loop_
_atom_site_label
_atom_site_type_symbol
_atom_site_fract_x
_atom_site_fract_y
_atom_site_fract_z
Ag1 Ag 0.2182 0.2182 0.0000
Ag2 Ag 0.7818 0.7818 0.5000
O1 O 0.2921 0.5312 0.2885
O2 O 0.4688 0.7079 0.2115
O3 O 0.5312 0.2920 0.7115
O4 O 0.7079 0.4688 0.7885
F1 F 0.1220 0.8780 0.7500
F2 F 0.8780 0.1220 0.2500
# - Formation enthalpy at 0 K: -637 meV/atom
# - Energy above the most stable polymorph in this dataset: 0.012 eV per atom
# - Symmetry: No. 20

---

[4]
# PBE-GGA AgO2F, optimized geometry
data_AgO2F
_cell_length_a 6.9196
_cell_length_b 6.9196
_cell_length_c 4.8095
_cell_angle_alpha 100.26
_cell_angle_beta 100.26
_cell_angle_gamma 32.80
_space_group_name_H-M_alt 'P 1'
_space_group_IT_number 1
_space_group_name_Hall 'P 1'
loop_
_atom_site_label
_atom_site_type_symbol
_atom_site_fract_x
_atom_site_fract_y
_atom_site_fract_z
Ag1 Ag 0.1706 0.1706 0.2124
Ag2 Ag 0.8294 0.8294 0.7876
O1 O 0.3058 0.6296 0.7765
O2 O 0.3704 0.6942 0.2235
O3 O 0.6296 0.3058 0.7765
O4 O 0.6942 0.3704 0.2235
F1 F 0.2430 0.2430 0.7568
F2 F 0.7570 0.7570 0.2432
# - Formation enthalpy at 0 K: -649 meV/atom
# - Energy above the most stable polymorph in this dataset: 0.000 eV per atom
# - Symmetry: No. 12

---

[5]
# PBE-GGA AgPO2F2, optimized geometry
data_AgPO2F2
+++

Not so multiplatform really

So I’ve started thinking around the problem.  I do a lot of work with WCF in my day-job writing distributed systems so my obvious inclination was to provide a WCF client-server architecture for the Windows targeted version of the game.  This adds an additional set of issues.  For a start it looks as though the WCF assemblies (System.ServiceModel) are probably not available on the 360.  You’d think that’s not much of a problem if you’re going to use the Live APIs, but then you realise that if you’re using a version of .Net 3.5 prior to the first service pack, you need to annotate any classes you want to transfer via WCF with the DataContract attribute.  Which is in the System.ServiceModel namespace.

I’m not sure (as I currently don’t have a subscription to deploy my test code onto my 360) what version of the framework the 360 is running, but I’d hazard a guess that it’s pre SP1.  I’m going to have to further research this problem, because if you can use SP1 on the 360 (which supports serialization without any attributes on the classes) then we’re home free.

Multiplatform networking code using Inversion of Control

In the interim I’ve devised a cunning solution (or perhaps workaround, I’m not sure).  See, all of these issues lead me to need two entirely separate network stacks for my game.  One that supported the Windows, and the other that supported Xbox live, without contaminating my data model with mark-up that’s useable in only one or the other of the stacks.

Castle Windsor to the rescue.

This is purely speculative as I haven’t attempted to implement the 360 network stack yet, but I intend to use the Castle Windsor IoC (inversion of control) container to load a separate network stack at runtime, depending on the platform.

My idea is that the game knows about two interfaces IGameServer and IGameServerConnection.  I then create two entirely separate assemblies, one with the networking code for the PC, the other with the Live networking code.  The PC version contains a class called WcfGameServer which implements IGameServer (I’ve already written this code), and a class called WcfGameServerConnection which implementes IGameServerConnection (and acts as a hand crafted WCF proxy).  The 360 implementation will feature XBL counterparts to these classes.

As far as the game is concerned, it’ll use the Windsor container to load an instance of IGameServer, call the StartListening(); method, then use Windsor to load an instance of IGameServerConnection() and call JoinGame() on that connection.  This way, the specific networking implementation is entirely removed from the game and hidden behind these two simple interfaces.

I’ve currently got a good way through implementing the WCF version of this model though I’ve hit a few snags on the way.  Because I’m deliberately developing in a pre-SP1 environment for the sake of this exercise, WCF doesn’t like serializing the game model to send over the wire.  As a result I’ve had to produce an inelegant hack to work around my desire to keep the System.ServiceModel assembly reference clear of my game model.

Trying to keep it light

I’ve marked up my model with Serializable attributes (.NET 1.1, that’ll be fine) and inside my WCF implementation of IGameServerConnection I’m marshalling all my data into byte[]’s before sending it over the wire.  This isn’t ideal as it requires the WCF implementation to manually deserialize the byte[]’s into their correct data types in the service implementation and the client library, but it does work.  Unfortunately at the moment these byte arrays are being stored as XML before being sent over the wire (as is the default WCF way) so I’m going to need to force WCF to binary serialize all it’s data rather than bloat my packets (and as a result, the game latency).  I’m using Net.Tcp so it’s pretty lightweight as far as protocols go but I suspect I’ll need to do some additional fine tuning to make the WCF implementation viable.

Either way, I’ve got a good feeling about the model, subtle hacks aside, and I think this is quite a good way to target both platforms with minimal impact to your game code.

So this is day 3 of development (I’m sure I’m going to loose count pretty quickly).


It occurs to me that I got a few fundamental things wrong when this post was originally written regarding the requirements for .Net 3.5 SP1.  These mistakes almost complicated the design of the networking stack.  Read more in my follow up here.